What you'll need to upright a drop bar bike

We get a call at least once a week about this. There must be thousands of otherwise perfectly good bikes sitting unused in garages because their owners no longer find drop bars comfortable, and the perceived hassle of switching anything out is too great for them to do anything about it. It's not as much of a hassle as you may think and even if it is, the end result is almost always worth it. If the languishing bike in question is a Moser time trial bike with a downward sloping top tube, OK, maybe it's best to start from scratch with a new bike, but otherwise, dive in, even if it's a skinny tire racey bike. Riding a good-to-middling bike with an upright bar has the ability to make you fall in love with cycling all over again, and that's not exaggeration. It can make a bike you were previously scared to ride something you use all the time. And another thing: switching bars is one of the most fun parts of playing around with bikes; It's like having a new bike all over again, for a lot less money.
If you plan on having a shop do the switch, the hardest part is determining what to get.
Here's what you'll need and we'll discuss specifics below:
- A handlebar
- A stem, possibly
- New brake levers, definitely
- If you had STI shifters (commonly known as brifters), you'll need shifters too.
- Grips
- New cables and housing

#1: Determine which handlebar to get.
My first recommendation to people who are fixing up old road bikes with skinny-ish tires is an Albatross bar. It's perfect for this kind of thing because it doesn't sweep back too much. Road bikes are always designed around drop bars, so the top tubes are pretty short. Our Billie and Bosco bars work fantastically on our bikes with longer top tubes, but if you stick 'em on an old Masi it might be too much of a good thing. The concern is a short top tube, skinny tire and steep headtube angle combined with a bar that puts little weight over the front wheel and it might make the bike feel a little twitchy. You can always chop a bit of the bar off if it's too close, or compensate for this effect with a super long stem.
If you want to sit 90 degrees upright on a road bike, you'll probably have to accept some twitchiness. Being uncomfortable on a twitchy bike is a recipe for disaster, but if you're comfortable, than you'll quickly learn to account for the light steering.
Here's a list of our upright bars in order of most recommended to still-recommended-but-not-as-much:
- Albatross
- Choco
- Baby Bosco
- Bosco (probably the 52cm)
- Wavie (not as upright, but sometimes just the ticket)
- Billie (great bar, but maybe chop it down)
If your bike is way too small, meaning the bars are way lower than the saddle, get a Baby Bosco, Bosco, or Tosco; all of those bars have a lot of built in rise that'll take some weight off your hands.
If looking at this list gives you any kind of choice paralysis, just get the Albatross and don't look back.
Any of the choices above will be a huge improvement over what you currently have.
If you look at our selection on the website, you might be wondering about the Albastache bar, which allows you to keep road levers. It's not a bad way to go, and it allows you to keep your road levers (although brifters don't work well on them), but just be aware that it's not quite an upright bar. You'll be slightly more upright, but maybe not as much as you were hoping. If you want an upright Albastache, pair it with a 8cm Dirt Drop stem, or a 5 to 7cm Tallux, assuming you have a quill stem bike.

#2 Figure out the stem
Look at the pictures above: the stem style on the left is commonly known as a quill stem; the stem on the right is known, somewhat confusingly, as a threadless stem. Quill stems slide into the steerer tube of the fork and tighten, and threadless stems clamp-on to the outside of the steerer. There are adapters out there to convert from one to the other, and mostly just from quill to threadless, but it's probably best to stick with the style your bike is designed for.
Once you figure out what style stem you have, then you can either pick out a new one, or make your current one work. I recommend the latter usually, because, if you're buying an Albatross bar, sometimes what you already have is perfect, and if it isn't, you'll then have a clear idea of what length to get.
If you want to try the stem you have, you may need a shim. All of the swept back bars listed under step #1 have a 25.4mm clamp diameter. If you've got a newish road bike with a threadless style stem, odds are you have a 31.8mm clamp. You can take up the space with one of the shims we sell:
If you're unsure of what clamp diameter your current stem has, you can use calipers on your current bar and figure it out, like so:

That's 26.0, despite the reading. A 26mm clamp is a common standard from back in the day, but is kinda niche nowadays. If I moved the stem over, I'd probably get a better reading. If your bike has a quill style stem, you may find that your current bar is 25.4, which means you don't need a shim at all.
If you don't have calipers and don't want to buy a tool, just get a new stem.
But what length though?
Ah, this is the question everybody hems-n-haws over, but between the variables on bikes, bars, and bodies, there's no way to give the definitive answer everybody wants. We can give a recommendation, at least.
The good thing about upright bars is that they have a wider window of comfortable stem lengths than drop bars do. Because drop bars are so tricky to get right, stems often come in minute 1cm increments; that's too fine-tuned for uprights, wethink.
If you have a quill style bike, there's no better stem out there than the venerable Nitto 90-190:
If you've landed on the Albatross bar, get an 85 or a 110mm. Either will work fine, seriously. The difference in body position between an 85mm stem and a 110mm is probably about 5 degrees. The bar choice makes a way bigger difference in position than a 15mm on a stem extension.
There are cheaper quill stems, but probably not with a faceplate or the generous 190mm quill length of the 90-190 that makes getting the bars high easier. If you want to keep it inexpensive and are willing to sacrifice some good looks, get a cheap threadless adapter and use a threadless stem; there are tons of inexpensive-but-fine ones out there.
If your bike uses threadless stems, our selection is minimal, mostly because they're so ubiquitous everywhere else. You'll have no trouble finding these at any bike shop unless your LBS only sells fully integrated e-bikes or something. If you buy from us, I recommend the SOMA Shotwell:
Keep it within 80 to 100mm and it'll work out fine. Threadless stems have the small advantage of being flippable for more or less height. If your bike is really small, you can find them with more extreme angles elsewhere.
OK! That's the hard part. the rest of this stuff is easy. Let's move on:

#3 Get some brake levers
You'll need "mountain" levers, which means they have a 22.2mm clamp. Mountain levers either have long or short cable pull, and you have to match it to your brake. Most of the bikes being converted will likely have brakes like this:

These are called caliper brakes, and they're always short pull. If your brakes look different, it could go either way. Googling the model name (if you can find it) will probably tell you what type of pull they are, but if you're still unsure, just get these levers:
These have different cable anchor points for both long and short pull. They're a little more finicky to set up than the levers that are either one or the other, but you can be sure that these will work with whatever you've got.

[Here the article breaks off for records of molecules]
____________
# 1
ORCA calculation (ωB97M-V with the def2-TZVPD basis set) on a cluster of 8 separate species, C38H43F6N3O4 in total in a non-equilibrium geometry.

The value obtained for the LUMO energy is 0.5 eV. For the energy above the lowest of the compared OMol25 structures with the same formula, charge and spin, the calculation gives 0.000 eV. Its SMILES is CCOC(=O)C(F)(F)F.CCOC(=O)C(F)(F)F.c1cc[nH]c1.c1cc[nH]c1.c1cc[nH]c1.c1ccccc1.c1ccccc1.c1ccccc1.

Each line ends with the Löwdin charge.
Element x y z (Å)
C (-2.79229, -2.95294, 0.09612)  -0.0318
C (-2.52465, -1.88197, -0.95866)  -0.1794
O (-1.87651, -2.47559, -2.09272)  0.0293
C (-2.61556, -2.75307, -3.15074)  -0.4089
O (-3.72394, -2.36356, -3.36336)  0.1675
C (-1.88102, -3.67280, -4.14469)  -0.5475
F (-0.86706, -4.30065, -3.58535)  0.1933
F (-2.74946, -4.46735, -4.74708)  0.1879
F (-1.36427, -2.89437, -5.13507)  0.1302
H (-3.60800, -2.81582, 0.80434)  0.0827
H (-1.90346, -3.13030, 0.69975)  0.0553
H (-3.02891, -3.85586, -0.47355)  0.0864
H (-1.77348, -1.20086, -0.56330)  0.0905
H (-3.40767, -1.31189, -1.23432)  0.1249
C (-1.55139, 1.33043, -4.39109)  -0.0557
C (-0.95880, 0.12694, -5.13283)  -0.1965
O (0.14812, 0.63102, -5.88293)  0.0390
C (0.74024, -0.17312, -6.73078)  -0.4105
O (0.42193, -1.29812, -6.93328)  0.1852
C (1.91060, 0.47497, -7.49133)  -0.5780
F (2.20516, 1.67902, -7.02288)  0.1662
F (2.93752, -0.34424, -7.45202)  0.1917
F (1.57414, 0.64555, -8.77045)  0.1729
H (-0.75030, 1.95939, -4.00934)  0.0709
H (-2.26208, 1.00429, -3.63344)  0.0788
H (-2.14176, 1.90258, -5.11001)  0.0813
H (-1.72794, -0.26660, -5.79442)  0.1324
H (-0.61284, -0.61383, -4.41262)  0.1159
C (3.69295, 1.35966, -2.23974)  -0.1365
C (4.43489, 0.56451, -3.13567)  -0.1060
C (4.28833, 1.14916, -4.36752)  -0.1408
N (3.47645, 2.25194, -4.23907)  0.0165
C (2.99631, 2.30185, -2.94483)  -0.1287
H (3.69273, 1.08611, -1.19376)  0.0840
H (5.07039, -0.26924, -2.89265)  0.0933
H (4.67686, 0.85674, -5.33008)  0.1039
H (3.18338, 2.84848, -4.98797)  0.1309
H (2.33849, 3.07304, -2.58251)  0.1061
C (-3.46671, 5.49436, 1.19607)  -0.1153
C (-2.66370, 4.44414, 0.67686)  -0.1164
C (-1.40503, 4.57605, 1.22607)  -0.1386
N (-1.50073, 5.52740, 2.20817)  0.0152
C (-2.76064, 6.04741, 2.23232)  -0.1581
H (-4.52409, 5.58312, 1.00392)  0.0907
H (-2.97272, 3.72394, -0.06490)  0.0797
H (-0.49699, 4.02539, 1.05014)  0.1000
H (-0.79918, 5.75934, 2.88602)  0.1464
H (-3.12423, 6.73995, 2.97302)  0.1095
C (4.21217, -1.21008, 1.33186)  -0.1179
C (4.80211, -0.28700, 2.21517)  -0.1101
C (5.08301, -0.94498, 3.38270)  -0.1284
N (4.65362, -2.24813, 3.23088)  0.0013
C (4.04325, -2.40143, 2.01646)  -0.1414
H (3.86274, -0.88769, 0.36462)  0.0739
H (5.05700, 0.75591, 2.11452)  0.0944
H (5.52115, -0.72249, 4.34136)  0.1052
H (4.49453, -2.91864, 3.96135)  0.1418
H (3.54451, -3.30187, 1.70413)  0.0956
C (-2.27811, 4.27380, 6.87181)  -0.0926
C (-3.23723, 4.32994, 5.86731)  -0.1004
C (-3.12017, 3.57732, 4.69368)  -0.0950
C (-2.00321, 2.78590, 4.52499)  -0.0881
____________

#4 Get some shifters
If your bike has shifters integrated into the brake levers, than you'll need new shifters. Both of the options pictured above will work great. The ones on the left are called thumbshifters, and the ones on the right are called bar end shifters, or BES for short.
If your bike has downtube shifters, than you don't need to get new shifters, but you may want too anyway. DT shifters will be harder to reach the more upright you are.
Bar end shifters have the advantage of not eating up any room on the handlebar itself, which means there's more room for your hands to roam around. Thumbshifters eat up a bit of space, but the shifter will be right next to your thumb. Both are great, although I think the Albatross really shines with bar end shifters.
You can also get an indexed trigger shifter, which, by some sad twist of fate, is actually cheaper than our friction options, despite being more complicated internally. If you go this route, beware: you're entering a world of potential compatibility problems. It's too much to go into here. It's better to get a friction shifter and get good at using them.
There's no better friction shifter for this purpose than our Silver2:
If you want to use them as bar end shifters, get these pods. If you want to use them as thumbshifters, get these mounts.

(What comes next are records of molecules, not part of the entry)
No. 1
110
Properties=species:S:1:pos:R:3:forces:R:3 method="wB97M-V/def2-TZVPD" gap_ev=5.384 total_charge=-2 homo_energy_ev=-1.95 de_lowest_ev=0.702
Rb 0.405 1.229 -1.101 -1.5082 -0.7492 -0.0504
C -3.447 -3.273 -1.263 -0.0150 -0.0081 0.0385
C -3.319 -2.466 -0.007 -0.0173 -0.0680 -0.0452
C -3.711 -2.794 1.308 0.0485 -0.0684 -0.0630
C -3.312 -1.721 2.081 0.0423 0.1456 -0.0470
C -3.514 -1.526 3.554 -0.0828 -0.0018 -0.0522
N -2.735 -0.823 1.245 -0.0167 0.0439 -0.0276
N -2.734 -1.283 -0.036 -0.1316 0.0780 0.3068
B -2.016 0.544 1.438 -0.0682 -0.0028 0.0194
N -2.852 1.709 0.867 0.1283 -0.1187 -0.1334
N -2.126 2.715 0.305 -0.1832 -0.0505 0.2643
C -2.995 3.605 -0.135 -0.0557 0.0148 -0.0296
C -2.512 4.850 -0.808 -0.0278 0.0152 0.0077
C -4.315 3.168 0.110 0.0339 0.0793 -0.0638
C -4.178 1.945 0.734 0.1207 -0.0701 0.0527
C -5.257 1.006 1.176 0.0179 0.0154 -0.0268
N -1.607 0.724 2.931 0.0531 0.0979 -0.0655
N -0.592 -0.078 3.355 -0.3104 0.1886 -0.0749
C -0.413 0.192 4.635 0.0734 0.0628 0.1278
C 0.652 -0.525 5.405 0.0067 0.0173 0.0242
C -1.307 1.193 5.062 0.1228 -0.0840 0.0968
C -2.044 1.512 3.938 -0.0467 -0.0697 -0.1474
C -3.140 2.523 3.823 0.0313 0.0079 -0.0124
H -3.976 -4.208 -1.070 0.0041 0.0132 -0.0064
H -2.464 -3.509 -1.673 -0.0077 0.0110 0.0316
H -3.989 -2.717 -2.030 -0.0017 0.0001 0.0157
H -4.200 -3.694 1.653 0.0234 0.0344 -0.0163
H -3.717 -2.496 4.013 -0.0361 0.0031 -0.0196
H -4.373 -0.879 3.760 0.0406 0.0198 -0.0344
H -2.648 -1.089 4.046 -0.0123 -0.0319 0.0050
H -1.004 0.522 0.796 -0.1681 -0.2057 0.3294
H -1.447 4.758 -1.021 -0.0044 -0.0160 0.0201
H -2.650 5.727 -0.170 -0.0124 -0.0098 -0.0098
H -3.041 5.028 -1.746 -0.0022 -0.0048 -0.0026
H -5.242 3.648 -0.169 0.0453 -0.0143 0.0014
H -6.174 1.245 0.637 -0.0153 0.0227 0.0316
H -5.469 1.093 2.245 0.0431 -0.0173 0.0074
H -5.002 -0.033 0.967 -0.0017 0.0399 -0.0267
H 1.235 -1.147 4.725 -0.0256 0.0348 0.0055
H 0.225 -1.168 6.179 -0.0006 -0.0028 0.0101
H 1.330 0.177 5.895 -0.0160 -0.0123 -0.0123
H -1.387 1.650 6.037 0.0135 -0.0103 -0.0354
H -3.114 3.172 4.699 -0.0068 -0.0192 0.0000
H -4.123 2.046 3.790 0.0127 0.0085 -0.0400
H -3.036 3.141 2.932 0.0269 -0.0110 0.0015
C 3.890 -1.647 1.591 -0.0283 -0.0379 0.1156
C 4.213 -0.484 0.675 -0.1658 -0.0565 -0.0449
O 3.952 -0.878 -0.665 0.0107 0.1197 0.0711
H 4.253 -1.451 2.603 -0.0285 -0.0134 -0.0015
H 4.370 -2.555 1.216 0.0068 0.0098 0.0133
H 2.812 -1.822 1.636 0.0970 0.0440 -0.0308
H 5.264 -0.196 0.787 0.0650 -0.0105 -0.0399
H 3.608 0.386 0.943 0.0043 0.0119 0.0096
H 3.548 -0.128 -1.120 0.0633 -0.0465 -0.1592
O 3.820 8.491 -2.868 0.1005 0.0777 0.0346
N 3.897 7.318 -3.200 -0.4305 -0.2689 0.1208
O 4.438 6.940 -4.227 0.1241 0.0300 0.0033
C 3.281 6.320 -2.344 0.1942 0.3896 -0.1870
C 3.345 4.985 -2.702 0.1456 -0.0746 -0.1611
C 2.795 4.051 -1.879 -0.1625 -0.4973 0.0589
C 2.035 4.355 -0.655 0.1014 -0.0558 0.0242
O 1.427 3.503 -0.020 0.0621 0.3882 0.1692
C 2.088 5.791 -0.339 -0.0355 -0.0694 0.3168
C 2.665 6.712 -1.161 0.1310 0.1881 -0.0508

#5 Get some cables and housing
If a bike shop is doing the work, they'll have this stuff. If you're doing it yourself, we sell handy kits here. You'll also need a good set of bike specific cable cutters and a file.
Park Tool has a bunch of useful videos if you're tackling this yourself for the first time.

Step #6: Get some grips
Anything works. Grant used some wool felt and twine above. We sell ESI grips if Grant's method is too sloppy. If you're using bar end shifters, it's easier to use handlebar wrap so you don't have to shove the grip over the shifter.
You may want to ride the bike grip-less for awhile to make sure everything is the way you want it before you plug something on there. If there's something you want to change, it'll be easier if there's no grip installed.
Is that it? I think that's it. I hope this helps. If you have questions, you can call us at 1-800-345-3918.